The Graduate and Professional Student Experience and
Satisfaction Committee recently released a report containing recommendations
meant to transform the campus environment and improve both graduate and
undergraduate life.
The committee, formed at the request of Dean of Graduate
Studies Richard Attiyeh and former Vice Chancellor of Student Affairs Joseph W.
Watson in spring 2006, spent the last year collecting student input through
thousands of public interviews, as well as surveys like the Graduate Student
Association’s Graduate and Professional Student Experience Survey, which was
conducted in 2005.
Graduate Student co-Chair Derek Lomas encouraged students to
take advantage of the administration’s request for suggestions as to how the
university could improve.
“For students who are interested in change in general, this
is the kind of thing that you can get behind,” he said. “The more the changes
are supported by students, the more likely they are to happen.”
The report outlines five major areas in which it claims
improvement is needed for graduate students: sense of community, academic
life, housing, student support services and communications. It also recommends
the formation of a permanent GPSES Steering Committee and creation of an
assistant dean of graduate student life position.
However, Lomas stressed that a sense of campus community,
which he considers to be the report’s principal topic, is not something that is
specific to one group of students.
The report’s proposals include everything from the creation
of ethnic food carts to landscaping the area around Geisel Library to allow for
recreational space, ideas he said would benefit the campus as a whole.
“Changes that improve community for graduate students will
also improve community for undergraduate students,” he said.
Lomas said that in contrast to the Undergraduate Student
Experience and Satisfaction Committee report of 2005, which received criticism
== The text is interrupted by molecular data ==
+++
[1]
+++
for being too long-winded and broad, Assistant Dean of Graduate Studies Tim
Johnston praised the GPSES committee for limiting and consolidating the issues
that it addressed.
“The intent was to focus attention on major issues and give
the steering committee a direction and goals rather than specific action
items,” Johnston said.
He added that the report will allow the permanent steering
committee to base its actions on current situations rather than previously
mandated instructions.
However, Lomas emphasized that the report only contains
“We didn’t release policy,” he said. “We provided a vision
of graduate student life for five years down the road.”
In one survey, just 10 percent of graduate students reported
feeling a sense of community, a figure Lomas said should upset all students and
inspire them to voice their concerns.
“We need to pay attention to the things that don’t get
measured by academic performance,” he said. “We are really trying to change the
thinking in the administration.”
The report argues that a high academic standard is not the
sole determinant that makes a great university.
“The ‘mastery’ of an academic discipline is not the solitary
goal of the graduate education,” the report said. “‘Connectivity’ is also a
primary value that must be consciously cultivated.”
Johnston said that he is confident that the report will be
successful in influencing future university decisions.
“I think they did a great job at putting the report together
and collecting information, and I am looking forward to seeing some of their
goals implemented,” he said.
Johnston said that Attiyeh and Vice Chancellor of Student
Affairs Penny Rue are scheduled to appoint members to the GPSES Steering
Committee by the end of Fall Quarter.
He added that on-campus departments, student groups and
service units have already begun to consider several of the recommendations of
the report.
[Attached: calculated molecules]
'''
i.
A cluster of 2 separate species, C6H8 in total. Source: the OMol25 dataset; level of theory: ωB97M-V/def2-TZVPD.

```
14
Properties=species:S:1:pos:R:3:lowdin_charge:R:1
C -1.339 -0.489 0.178 -0.128
C -2.228 -0.892 1.082 0.029
C 2.517 -0.316 1.088 -0.081
C 1.370 0.271 0.633 -0.014
C -0.499 0.133 -0.519 -0.153
C -0.355 0.660 -1.890 -0.106
H -2.472 -1.838 1.241 -0.008
H -2.902 -0.156 1.555 0.074
H 2.461 -1.340 1.379 0.025
H 3.236 0.469 1.428 0.059
H 1.339 1.383 0.680 0.039
H 0.601 0.178 -2.378 0.123
H -0.577 1.732 -2.039 0.084
H -1.151 0.205 -2.436 0.057
```

---

ii.
The molecule C6H8. Source: the OMol25 dataset; level of theory: ωB97M-V/def2-TZVPD.

```
14
Properties=species:S:1:pos:R:3:lowdin_charge:R:1
C 2.971 -0.325 -0.784 0.126
C 1.812 -0.174 -0.486 -0.116
C 0.442 -0.170 -0.100 -0.331
C -0.364 -1.101 -0.709 0.035
C -0.229 1.017 0.578 -0.195
C -1.596 0.385 0.778 -0.149
H 3.980 -0.428 -1.108 0.024
H -0.232 -1.289 -1.760 0.075
H -1.171 -1.682 -0.277 0.067
H 0.170 1.432 1.507 0.110
H -0.179 1.823 -0.179 0.125
H -1.191 -0.579 1.121 0.066
H -2.238 0.686 1.584 0.068
H -2.174 0.405 -0.162 0.095
```

Results
- SMILES string = C#CC(=C)CC

---

In terms of stability, ii leads; the second structure lies 1.673 eV higher.

---

i.
The molecule C5H6O2. Source: the OMol25 dataset; level of theory: ωB97M-V/def2-TZVPD.

```
13
Properties=species:S:1:pos:R:3:lowdin_charge:R:1
C 0.616 -1.149 -1.630 -0.092
C 1.082 -0.778 -0.252 -0.150
C 0.280 -0.566 0.754 -0.023
C -0.563 -0.176 1.670 -0.104
O -1.091 1.118 1.748 -0.002
C -1.016 1.954 0.694 -0.323
O -0.536 1.738 -0.383 0.088
H -0.470 -1.270 -1.661 0.081
H 1.091 -2.073 -1.974 0.072
H 0.889 -0.348 -2.327 0.081
H 2.143 -0.575 -0.112 0.112
H -0.936 -0.776 2.493 0.118
H -1.487 2.903 0.980 0.144
```

Results
- SMILES string = CC=C=COC=O

---

ii.
The molecule C5H6O2. Source: the OMol25 dataset; level of theory: ωB97M-V/def2-TZVPD.

```
13
Properties=species:S:1:pos:R:3:lowdin_charge:R:1
O -3.494 0.511 -0.608 0.059
C -2.451 -0.089 -0.660 -0.259
C -1.681 -0.534 0.577 -0.158
C -0.238 -0.357 0.410 -0.034
C 0.943 -0.200 0.222 0.013
C 2.376 0.065 0.014 -0.278
O 2.620 1.261 -0.696 -0.059
H -1.986 -0.373 -1.626 0.129
H -2.071 0.014 1.441 0.124
H -1.901 -1.600 0.733 0.130
H 2.878 0.065 0.993 0.120
H 2.827 -0.738 -0.578 0.122
H 2.177 1.976 -0.222 0.091
```

Results
- SMILES string = O=CCC#CCO

---

iii.
The molecule C5H6O2. Source: the OMol25 dataset; level of theory: ωB97M-V/def2-TZVPD.

```
13
Properties=species:S:1:pos:R:3:lowdin_charge:R:1
O 1.616 0.866 1.489 0.050
C 0.598 1.342 1.056 -0.293
C -0.801 1.013 1.602 -0.132
C -1.018 -0.011 0.577 -0.040
C -0.633 -0.630 -0.387 0.017
C -0.100 -1.418 -1.505 -0.262
O 0.983 -0.797 -2.168 -0.051
H 0.566 1.941 0.124 0.135
H -0.740 0.627 2.623 0.119
H -1.520 1.839 1.545 0.115
H 0.175 -2.407 -1.116 0.125
H -0.883 -1.545 -2.253 0.122
H 1.755 -0.819 -1.587 0.095
```

Results
- SMILES string = O=CCC#CCO

---

iv.
'''
The report is available online at